The Walking Dead: Season Three – A New Frontier (Episodes I & II) Review

Although Telltale has struck proverbial gold with some of its other, more recent pursuits, it’s the studio’s take on Robert Kirkman’s ever popular The Walking Dead franchise that exists as its greatest triumph. With it, the San Rafael, California-based studio ushered in a new age of point-and-click adventure games, and did so by intelligently modernizing the decades old genre in various impressive ways.

-- Records of crystals that have nothing to do with the page --
(1)
SrCoGeSb2 after structural relaxation, computed with GGA-PBEsol.

Summary:
crystal system = tetragonal
uncorrected formation energy = -0.1758 eV/atom

a = 4.4646 Å, b = 5.1770 Å, c = 5.1770 Å
α = 90.00°, β = 90.00°, γ = 90.00°
Last column: nearest neighbours and their distance in Å.
Sites, in units of the cell vectors:
Sb1 0.0000 0.0000 0.5000  2 Co 2.59
Sb2 0.0000 0.5000 0.0000  2 Co 2.59
Ge1 0.5000 0.0000 0.0000  2 Co 2.23
Co1 0.0000 0.0000 0.0000  2 Ge 2.23
Sr1 0.5000 0.5000 0.5000  8 Sb 3.42, 4 Ge 3.66

=====

(2)
CeTaO4 after structural relaxation, computed with GGA-PBEsol.

Summary:
crystal system = monoclinic
uncorrected formation energy = -3.1553 eV/atom

a = 5.4114 Å, b = 7.5897 Å, c = 7.7004 Å
α = 99.69°, β = 90.00°, γ = 90.00°
Last column: nearest neighbours and their distance in Å.
Sites, in units of the cell vectors:
Ce1 0.7243 0.6488 0.3978  6 O 2.29-2.47
Ce2 0.2757 0.3512 0.6022  6 O 2.29-2.47
Ce3 0.7757 0.6488 0.8978  6 O 2.29-2.47
Ce4 0.2243 0.3512 0.1022  6 O 2.29-2.47
O1 0.8489 0.1694 0.0581  2 Ta 2.00-2.01
O2 0.0078 0.6626 0.6288  1 Ta 1.94
O3 0.5072 0.3872 0.3334  1 Ta 2.05, 1 Ce 2.29
O4 0.5078 0.3374 0.8712  1 Ta 1.94
O5 0.5982 0.9378 0.7975  2 Ta 1.95-2.04
O6 0.4922 0.6626 0.1288  1 Ta 1.94
O7 0.3489 0.8306 0.4419  2 Ta 2.00-2.01
O8 0.4018 0.0622 0.2025  2 Ta 1.95-2.04
O9 0.0072 0.6128 0.1666  1 Ta 2.05, 1 Ce 2.29
O10 0.0982 0.0622 0.7025  2 Ta 1.95-2.04
O11 0.6511 0.1694 0.5581  2 Ta 2.00-2.01
O12 0.9928 0.3872 0.8334  1 Ta 2.05, 1 Ce 2.29
O13 0.9018 0.9378 0.2975  2 Ta 1.95-2.04
O14 0.4928 0.6128 0.6666  1 Ta 2.05, 1 Ce 2.29
O15 0.9922 0.3374 0.3712  1 Ta 1.94
O16 0.1511 0.8306 0.9419  2 Ta 2.00-2.01
Ta1 0.7701 0.1652 0.8042  6 O 1.94-2.05
Ta2 0.7299 0.1652 0.3042  6 O 1.94-2.05
Ta3 0.2701 0.8348 0.6958  6 O 1.94-2.05
Ta4 0.2299 0.8348 0.1958  6 O 1.94-2.05

=====

(3)
BTe2P after structural relaxation, computed with GGA-PBEsol.

Summary:
crystal system = trigonal
uncorrected formation energy = 1.0070 eV/atom

a = 3.9417 Å, b = 3.9417 Å, c = 7.9478 Å
α = 75.64°, β = 75.64°, γ = 60.00°
Last column: nearest neighbours and their distance in Å.
Sites, in units of the cell vectors:
P1 0.5000 0.5000 0.5000  6 Te 2.86
B1 0.0000 0.0000 0.0000  2 Te 2.08
Te1 0.9088 0.9088 0.2736  1 B 2.08
Te2 0.0912 0.0912 0.7264  1 B 2.08

* * * * *

No. 1
Density functional theory data (PBE) for a geometry-optimized NaCaICl2 structure.

The structure in POSCAR format:
```
NaCaICl2
1.0
5.3011 0.0000 0.0000
0.0000 5.3011 0.0000
0.0000 0.0000 6.3441
Na Ca I Cl
1 1 1 2
direct
0.0000 0.0000 0.0000 Na
0.5000 0.5000 0.5000 Ca
0.5000 0.5000 0.0000 I
0.0000 0.5000 0.5000 Cl
0.5000 0.0000 0.5000 Cl
```

Summary:
ΔE to the lowest computed polymorph   0.0 meV/atom
Space-group type   No. 123

No. 2
Density functional theory data (PBE) for a geometry-optimized ZnCu structure.

The structure in POSCAR format:
```
ZnCu
1.0
5.0894 0.0000 0.0000
-2.5447 4.4076 0.0000
0.0000 0.0000 4.1855
Zn Cu
3 3
direct
0.0000 0.5000 0.0000 Zn
0.5000 0.0000 0.0000 Zn
-- Here the page continues --

It’s hard to believe, but almost four years have come and gone since Telltale first debuted The Walking Dead back in April of 2012. Since then, they’ve released a very solid second season, alongside several other adventure games based on other popular brands, like Borderlands, Fables, Minecraft and Game of Thrones. All have been good, and some have been great, but The Walking Dead still seems to be considered the best and most important of the bunch, and for good reason.

Earlier this month, good news was shared, and it was revealed that The Walking Dead‘s third season (dubbed The Walking Dead: A New Frontier) would begin its five episode-long quest just shy of the holiday season. Not only that, but instead of giving us just one episode to chomp on, we were promised two at once, which made things even sweeter.

Both episodes carry the same subtitle, although they’re designated as Part One and Part Two, as you’d expect. Together, they form Ties that Bind, a gripping opening that ushers in what has the potential to be an absolutely terrific season. Maybe even the series’ best thus far.

Things begin away from Clementine and company, while going back in time to just before the zombie pandemic began. There, we find one Javier Garcia, a young and naive former professional baseball player who’s fallen on hard times since being charged with betting on his own team. Things aren’t going well for our new ally professionally or personally, as we meet him at one of the roughest periods in his life. You see, his ailing father’s health has deteriorated and death is imminent — knowledge learned from a family member prior to a desperate attempt to make it home in time.

Due to traffic congestion, Javi, as he likes to be called, is forced to ditch his ride and run the rest of the way. This causes him to miss the unfortunate moment, and sets him up for ridicule and a beating from his older and very angry brother whom he’s not on very good terms with. It’s here where we get a first glimpse into our new hero’s life and the struggles within it, and it’s not long after that we’re introduced to the rest of the family, which is made up of their mother, the brother’s second wife and his two children, a boy and a girl. Most of them play large roles in this opening two parter, and will likely continue to do so throughout this third season.

What follows is ripped straight from a good horror movie, as the unsuspecting family learns that their fallen patriarch isn’t so bedridden anymore. Thus begins a campaign that begins with shock and realization then jumps several years into the future, to where Javi, his brother’s former wife and his niece and nephew are doing their best to survive in post-apocalyptic America.

Over the course of these two episodes, Telltale’s The Walking Dead introduces many new characters, including one that will be familiar to those who’ve read the graphic novels and/or watched the TV series. Most are fellow survivors, some of which aid our cause and help our new protagonists when they encounter danger, while others — as is always the case — threaten their very livelihoods. These asshats are introduced as The New Frontier, and are part of a Negan-esque group that likes violence and threatening words.

Along the way, another familiar face is reintroduced at the side of the road, via a chance encounter. That would, of course, be Clementine, who took over the reigns as last season’s main protagonist after Lee’s unfortunate demise. Alone and much more mature, she’s become a hardened survivor and has taken everything that her former group taught her to heart. As such, she’s not quick to befriend or trust anyone until she’s absolutely ready.

That timetable ends up being sped up rather quickly, though, as it isn’t long before the shit hits the fan again. However, out of respect of spoilers and a desire to avoid as many as humanly possible, I won’t say anything more.

Those who’ve been fans of Telltale’s The Walking Dead since day one, or close to it, should be very happy with what we’re presented with here. Not only are the new characters interesting, likeable and easy to relate to, but the trouble they find themselves in is organic, believable and frightening. The relationships they form during this opening act also blossom realistically, sometimes of out of intent, but often out of necessity. Moving along, Clementine’s story is also done good justice, through flashbacks that give us insight into what happened to Kenny and the baby. Of course, even after the credits begin to roll on episode two, we’re not made privy to the whole story, which makes the wait for episodes three, four and five even tougher.

Another positive comes the way of more advanced button prompts, while tough choices continue to make for exciting and challenging gameplay. Twists aren’t a rarity, either, as at least two major ones are introduced within just these first two episodes. Together, they’re sure to combine for some great drama in future episodes.

Thankfully, the game’s engine has also been updated for The Walking Dead: A New Frontier, allowing for mostly solid performance that is only marred by some rare instances of framerate slowdown and visual hiccups. The beginning of the second episode was where I noticed the most problems, but they didn’t last for long. Outside of that, one part of a line of dialogue was repeated (something which used to happen in previous seasons, as well as in other titles like Telltale’s Game of Thrones), but it was just the one line that was affected.

Apart from those issues, I was pretty impressed with how things looked and ran this time around. We all know that Telltale games tend to be a bit glitchy, but they deserve credit for making improvements with both Batman: The Telltale Series and this third season of The Walking Dead. Their engine could still use some work, and their games are still in need of fine tuning, but there’s nothing to really stress over, in the way of glitches or performance problems.

Alas, I guess it goes without saying that I loved and thoroughly enjoyed what I saw and experienced as I played through the first two gripping episodes of The Walking Dead: A New Frontier. The direction the story has gone in, the new characters it’s enveloped and the ensuing drama all feels right, and I can’t wait to see how everything turns out.

This review is based on the Xbox One version of the game, which we were provided with.

If these first two episodes are any indication, The Walking Dead: A New Frontier may well end up being one of Telltale's finest efforts.
The Good Stuff
Gripping drama
Interesting and relatable new characters
Tough choices
The Not-So-Good Stuff
Those who didn't like the first two seasons won't have their minds changed
Some performance issues